Brian Green: Ethics, Space Travel, and Pretty Much Everything Else
Brian Green is the Director of Technology Ethics at the Markkula Center for Applied Ethics at Santa Clara. Dr. Green represents the Center in the Partnership on Artificial Intelligence, oversees the Markkula Center Environmental Ethics and Hackworth Fellows, works with the university’s ethics bowl team, and teaches engineering ethics in the Graduate School of Engineering. In this very wide-ranging conversation, we cover genetic engineering, religion, space travel, ethics, artificial intelligence, the Markkula Center and how to create a better future, which may sound impossible unless you listen to this conversation.

Selected Interview Highlights:
Gavin Cosgrave: What were your career plans when in college at UC Davis?
Brian Green: I thought for sure I was going to be a physicist. I tried to take the advanced math series and discovered I didn’t actually like math very much. I moved more towards biology and got involved in genetic anthropology and plant biotechnology. I ended up majoring in genetics and working on molecular biology laboratory work, but I didn’t like that either.
I graduated and didn’t know what to do with myself, but I had met my wife in college and we knew we wanted to get married. We got married then joined the Jesuit Volunteers International for two years. We went overseas tot the Marshall Islands where I discovered that I enjoyed teaching. I also discovered that science and technology have social impacts.
Back in the United States, I went to grad school and transitioned from genetics towards ethics.
GC: How did religion and genetics play together in your graduate studies?
BG: My master’s dissertation was on the Catholic’s perspective on the genetic manipulation of humans. After all my research, it turned out that the Catholics had a nuanced perspective: if you’re doing it for therapeutic purposes, the church likes health care and hospitals, and anything that helps people is good. So, the Catholic church is in favor of genetic manipulation if it is to alleviate disease. If it’s just for enhancement or for messing around, then that’s not cool because you’re not helping people.
Pope John Paul said, “Any manipulations of humans will be judged by whether it promotes the natural development of a human person.” So, then the question is, what is the natural development of a human person? That launched me on my PhD on human nature and asking, “what if we use technology to change human nature?”
## Data records that have nothing to do with the article
~~~
6
Properties=species:S:1:pos:R:3:forces:R:3:mulliken_charge:R:1 method="wB97M-V/def2-TZVPD" total_charge=+2 homo_lumo_gap_ev=4.060 multiplicity=1 fmax_ev_per_a=1.0
Tl -8.488910 -17.627750 2.468410 0.0 -0.2 0.3 1.4480
B -8.112230 -17.952470 5.975750 -0.3 0.1 0.5 0.6716
F -8.551720 -16.737150 5.492830 0.1 0.1 0.1 -0.1063
F -7.028950 -17.781050 6.816010 -0.3 -0.2 -0.1 0.0761
F -9.092580 -18.591710 6.727850 0.2 0.2 0.1 0.0726
F -7.809250 -18.770710 4.878820 0.3 0.0 -0.9 -0.1621

=====
~~~
GC: Is technology changing what it means to be human?
BG: It depends on what you think humans are! If you think that what makes us human is just our rational mind, then you might think that a computer could be rational so it can count as a person. If you say that it’s our capacity for emotion, then you could say that animals have emotions, so we should count them.
GC: Are you worried about job loss from automation such as self-driving cars?
BG: The more I’ve been thinking about autonomous cars, the less I’ve been concerned by it. I think it might be possible to have trucks driving around by themselves but I think it will be a slow and long transition because people won’t accept it for some time, or there will be legal requirements that come in.
# 1
ORCA calculation (wB97M-V/def2-TZVPD) on a single CHBrF2OS molecule in a non-equilibrium geometry.

Summary:
- Kohn-Sham gap (eV) = 9.69
- HOMO level (eV) = -10.5
- ΔE to the lowest compared entry with this formula, charge and spin (kcal/mol) = 23.1

Geometry as XYZ:
```
7
Properties=species:S:1:pos:R:3:mulliken_charge:R:1
C 0.10 0.73 -0.56 0.292
O 1.61 1.83 1.31 -0.448
F -0.69 1.69 -1.08 -0.209
F 0.28 -0.25 -1.55 -0.218
S 1.79 1.48 -0.07 0.447
Br 2.89 -0.49 -0.16 -0.106
H -0.46 0.32 0.24 0.242
```

# 2
ORCA calculation (wB97M-V/def2-TZVPD) on 17 unconnected molecules or ions with the total composition C23H8Cl64NO4S2 in a non-equilibrium geometry.

Summary:
- Kohn-Sham gap (eV) = 7.03
- HOMO level (eV) = -6.0
- net charge = -1
- ΔE to the lowest compared entry with this formula, charge and spin (kcal/mol) = 0.0

Geometry as XYZ:
```
102
Properties=species:S:1:pos:R:3:mulliken_charge:R:1
O -5.10 -3.12 -2.65 -0.585
S -4.60 -2.06 -3.48 0.737
O -5.27 -0.78 -3.37 -0.489
N -3.01 -1.91 -3.39 -0.138
S -2.55 -2.01 -1.87 1.132
O -2.32 -3.36 -1.39 -0.781
O -3.47 -1.25 -1.02 -0.642
C -0.93 -1.21 -1.76 -1.500
C -0.97 -0.21 -0.64 0.027
C -0.96 -0.70 0.67 -1.782
C -1.03 0.19 1.73 0.036
C -1.12 1.55 1.48 -0.598
C -1.12 2.05 0.19 -0.014
C -1.05 1.16 -0.89 0.086
H -4.77 -2.46 -4.76 0.007
H -0.20 -1.98 -1.53 0.328
H -0.64 -0.74 -2.70 0.602
H -0.94 -1.76 0.84 1.302
H -1.02 -0.23 2.72 -0.145
H -1.21 2.24 2.31 0.464
H -1.19 3.11 -0.01 0.514
H -1.08 1.47 -1.92 0.670
C 0.27 4.60 -3.82 -0.008
Cl 0.04 3.58 -2.40 0.084
Cl 0.80 3.61 -5.18 -0.059
Cl -1.23 5.42 -4.22 0.025
Cl 1.52 5.82 -3.46 -0.042
C -1.02 -0.94 6.50 0.115
Cl -1.11 -0.33 4.85 -0.046
Cl 0.22 -0.06 7.41 -0.023
Cl -2.59 -0.74 7.28 -0.048
Cl -0.60 -2.66 6.46 -0.080
C -1.92 -0.70 -7.13 0.210
Cl -0.94 0.61 -6.46 -0.022
Cl -2.02 -0.51 -8.89 -0.108
Cl -1.17 -2.25 -6.73 -0.066
Cl -3.53 -0.64 -6.44 -0.051
C -1.28 9.42 -3.94 0.338
Cl -1.73 11.08 -3.54 -0.112
Cl 0.39 9.38 -4.50 -0.091
Cl -1.45 8.40 -2.51 -0.057
Cl -2.35 8.82 -5.22 -0.089
C 3.17 1.96 5.53 0.035
Cl 1.92 1.45 4.41 0.130
Cl 3.79 0.58 6.45 -0.004
Cl 4.50 2.71 4.65 -0.101
Cl 2.48 3.13 6.67 -0.054
C -4.80 3.53 -3.36 0.215
Cl -4.55 2.44 -4.71 -0.022
Cl -4.40 5.18 -3.88 -0.095
Cl -6.48 3.47 -2.82 -0.118
Cl -3.74 3.06 -2.03 0.016
C 0.64 -3.69 -10.05 0.331
Cl 1.23 -4.94 -11.16 -0.135
Cl 0.90 -2.09 -10.76 -0.050
Cl -1.08 -3.94 -9.75 -0.068
Cl 1.54 -3.80 -8.53 -0.087
C 2.78 -1.52 -14.32 0.341
Cl 1.81 -0.30 -13.49 -0.103
Cl 2.27 -1.63 -16.01 -0.103
Cl 4.48 -1.05 -14.26 -0.101
Cl 2.57 -3.09 -13.54 -0.045
C 4.78 3.61 -1.93 0.289
Cl 3.54 3.31 -3.15 -0.006
Cl 5.25 2.08 -1.18 -0.086
Cl 6.19 4.35 -2.69 -0.111
Cl 4.14 4.69 -0.70 -0.100
C 2.50 -3.09 1.92 0.113
Cl 1.31 -2.20 0.97 -0.032
Cl 3.95 -3.41 0.94 -0.144
Cl 2.93 -2.14 3.34 0.050
Cl 1.79 -4.62 2.43 0.032
C 0.02 -8.25 3.11 0.331
Cl 0.87 -7.21 4.27 -0.088
Cl 1.15 -9.43 2.45 -0.107
Cl -1.29 -9.10 3.94 -0.103
Cl -0.65 -7.27 1.81 -0.051
C 6.42 -3.68 5.18 0.249
Cl 5.59 -2.42 6.11 -0.047
Cl 5.66 -3.81 3.60 -0.018
(The article goes on)
GC: Do you think the future world will be better than our current one?
BG: I think we’re creating a world that is more volatile: more opportunities and more risks. We used to be a world with little groups of people in different places that all did their own thing separately, but now we’re all becoming one big planet together. By doing that we become much more powerful and capable of doing much better and worse things.
We’re adding to that inventory in terms of robotics, AI, synthetic biology, nanotechnology can all be dangerous, and have benefits and risks. The question is how we channel them towards good uses and away from bad ones? That requires a functioning political systems, a culture where people can have civil discourse. Hopefully we’d be able to do that, but right now we’re in a state where we’re having difficulty with those.
GC: Is it worth it for humans to travel to space? What questions should be asking?
BG: I’m in favor of human space travel. One of my colleagues here is against it, she thinks if we’re already messing up this planet we shouldn’t mess up another one. I take the opposite perspective, which is that if we’re messing up this planet, we better make sure there are a few people safe somewhere else.
It turns out that humans aren’t very well adapted to space. Even the astronauts that went to the moon seemed to have residual health problems from the radiation that they received from the few days they were in space. I’m very excited about Elon Musk and SpaceX and all those other organizations but I think they’re making it seem easier than it is.
GC: What’s an example of a notable project you’ve done here at the Markkula Center?
BG: I’ve loved working with the Ethics bowl team, with the environmental ethics fellows on the student side. The Markkula Center joined the Partnership on AI last year which includes corporations like Amazon, Apple, Facebook and others who have gotten together to talk about the future of artificial intelligence. But the Ethics bowl team winning the national championship is one of the most exciting things that’s happened.
We’re also working with some Silicon Valley tech companies to do trainings for their employees on ethics.
GC: What is the importance of studying ethics?
BG: I think ethics is the most practical skill because ethics is about decision making, which will help you in everything you do. Even if you’re just raising a family, you’re still going to be making decisions, and ethics is a way to make good decisions. One of the things people have talked about with technology ethics is that technology has made us very powerful. Just because we can do something doesn’t mean we should do it. Ethics can look at choices and determine which are good.
GC: If a student was really interested in Ethics or the Markkula center, how could they get involved?
BG: There are several programs for students. We have an environmental ethics fellowship, Hackworth Fellowship where students work with a staff member on a project for the year. We have business ethics interns who work with in Silicon Valley corporations, and health care ethics interns that work in hospitals to learn about the healthcare system. We have student workers here, and there you can come to our programs or join the ethics bowl team.